His Word

**Calculated molecules that have nothing to do with the piece:**
____________
[1]
9
Properties=species:S:1:pos:R:3:nbo_charge:R:1 method="wB97M-V/def2-TZVPD" energy_ev=-13950.314 mol_weight_g_mol=85.0 spin_multiplicity=1 total_charge=0
P 3.209 0.170 -0.161 0.717
N 1.596 0.358 0.531 -0.678
C 2.075 -0.963 0.225 -0.358
C -0.748 0.189 -0.067 -0.502
C 0.402 0.933 0.025 -0.029
H 1.537 -1.826 -0.039 0.231
H 0.441 1.982 -0.129 0.204
H -1.786 0.725 -0.223 0.209
H -0.907 -0.942 -0.008 0.205

---

[2]
14
Properties=species:S:1:pos:R:3:nbo_charge:R:1 method="wB97M-V/def2-TZVPD" energy_ev=-9279.561 mol_weight_g_mol=99.1 spin_multiplicity=1 total_charge=+1
O -0.037 -2.246 1.437 -0.434
N -0.364 1.283 0.481 -0.519
N 1.763 0.848 -0.821 -0.754
C 0.085 -1.883 0.297 0.374
C -0.601 -0.771 -0.337 -0.238
C -1.427 0.277 0.483 -0.220
C 0.595 0.729 -0.239 0.590
H -2.317 0.835 0.067 0.241
H 2.454 1.594 -0.605 0.436
H -0.378 2.157 1.072 0.445
H -1.552 0.052 1.525 0.240
H -0.986 -0.716 -1.277 0.251
H 2.119 0.321 -1.590 0.452
H 0.644 -2.480 -0.492 0.136

---

[3]
46
Properties=species:S:1:pos:R:3:nbo_charge:R:1 method="wB97M-V/def2-TZVPD" energy_ev=-54253.144 mol_weight_g_mol=420.6 spin_multiplicity=1 total_charge=-2
Zr 0.914 1.118 1.008 2.177
Cl 2.719 2.472 0.587 -0.517
Cl 1.476 -1.234 0.315 -0.509
Si 0.173 0.152 4.614 1.890
O 0.446 0.652 2.960 -1.251
O -0.793 1.436 0.011 -1.072
O -1.970 -2.881 1.839 -1.380
C -2.180 1.579 -3.098 -0.618
C 0.865 2.475 -3.257 -0.621
C -1.042 -0.725 -2.840 -0.059
C -2.251 -1.519 -2.647 -0.630
C 2.640 -0.105 -3.035 -0.618
C -1.428 -0.823 4.717 -1.157
C 1.160 -0.084 -3.026 -0.148
C 0.699 -2.615 -2.913 -0.621
C 1.670 -0.867 5.135 -1.132
C -1.017 0.689 -3.008 -0.153
C 0.275 -1.208 -2.912 -0.129
C 0.346 1.095 -3.099 -0.143
C 0.094 1.799 5.507 -1.134
H 1.197 2.645 -4.286 0.171
H -2.492 1.719 -4.143 0.172
H -1.218 -2.906 1.181 0.399
H 0.855 -2.981 -3.946 0.166
H 0.085 3.204 -3.030 0.186
H 0.074 1.597 6.578 0.214
H -1.959 2.577 -2.680 0.172
H 1.703 2.663 -2.575 0.184
H 3.017 0.348 -3.979 0.168
H -3.028 1.158 -2.555 0.192
H -2.031 -2.452 -2.089 0.215
H 1.628 -2.767 -2.334 0.192
H -0.813 2.343 5.208 0.234
H -1.455 -1.650 3.985 0.345
H 3.040 0.472 -2.191 0.182
H -2.715 -1.822 -3.609 0.157
H -0.070 -3.241 -2.454 0.205
H 2.606 -0.430 4.770 0.232
H -2.276 -0.153 4.539 0.230
H 3.005 -1.110 -2.966 0.199
H -1.673 1.909 -0.167 0.516
H 0.964 2.422 5.254 0.229
H -3.020 -0.956 -2.086 0.193
H 1.686 -0.884 6.241 0.211
H -1.497 -1.230 5.723 0.205
H 1.590 -1.882 4.755 0.256

---

[4]
17
Properties=species:S:1:pos:R:3:nbo_charge:R:1 method="wB97M-V/def2-TZVPD" energy_ev=-43053.952 mol_weight_g_mol=192.0 spin_multiplicity=1 total_charge=0
Cl -2.521 -0.666 -1.785 -0.454
Cl 0.141 -0.095 -3.636 -0.379
P -0.331 -0.514 -1.595 1.239
O 0.088 -1.932 -1.312 -1.127
N 0.220 0.429 0.586 0.075
N -0.941 0.601 1.063 -0.324
N 0.944 -0.587 0.974 -0.319
C 2.240 -0.774 0.452 -0.458
C -1.682 1.700 0.502 -0.444
H 2.953 -0.833 1.317 0.215
H -1.424 -0.246 1.359 0.371
H 0.472 -1.297 1.581 0.386
H -0.964 1.900 -0.392 0.242
H 2.610 0.075 -0.160 0.245
____________

When God Sends His Servants

When they came up out of the water, the Spirit of the Lord suddenly took Philip away, and the eunuch did not see him again, but went on his way rejoicing.

Acts 8:39, NIV

Philip was sent by God’s spirit to a desert road to share Jesus to an Ethiopian Eunuch. When he heard the official reading the book of Isaiah, he explained to him what it truly meant. Eventually, they saw some water, and the Eunuch decided to be baptized. When he came up out of the water, the spirit of the Lord suddenly took Philip away. But one of the notable things we could learn from the Eunuch was that he didn’t panic and got disappointed because the person who shared him about Jesus was gone. Instead, he went on his way, rejoicing.

His reaction simply means that he wasn’t really focusing on the man that God sent. Instead, his eyes were fixed on his savior. Perhaps he knew that God purposely sent Philip as a vessel. It was also evident that He believed with all his heart that Jesus was already inside of Him because His presence was more important than Philip’s absence. He went home rejoicing because He knew that he already had everything he needed.

This is a very powerful reminder for us not to anchor our hopes and identities in God’s people. Let’s not forget that just Philip, they were also God’s vessels. They shouldn’t be the source of our value or love. Instead, let’s treat them as God’s servants. There’s nothing wrong with admiring those who were sent by God, but may we never be shaken by their absence in our lives. And just like what the Eunuch did, may we choose to rejoice, even in moments when God would lead them to another journey.

It’s good to have a spiritual mentor or leader. But there are certain seasons in life when God would lead and send them to other broken people. When that happens, choose to apply what you learned from the Eunuch. Go in your way and rejoice in the arms of God. Be thankful for their lives, and never forget what they taught you. Move forward and trust that God will be there to guide you. He will send the right people in His perfect timing.

Prayer: Father God, thank you so much for sending the right people in my life. As I walk with you, Lord, teach me how to let go of the people that I need to let go. Teach me how to hold on to your promises. Remind me not to anchor my hopes and identity to the person that you sent. And just like the Ethiopian Eunuch, give me the grace to move forward and rejoice in your presence. This I ask, and pray, in Jesus’ name, I pray, amen.